Sea Lane, Worthing, West Sussex, BN12 5DU

01903 243945

Ferring Church of England Primary School

An Inspiring Place to Grow, Believe and Achieve




At Ferring C of E Primary School children are aware of the importance of Mathematics in everyday life because, as well as teaching the National Curriculum objectives for each year group, we embed maths within engaging cross-curricular projects.     

We want our children to enjoy learning maths, which comes through a GROWING belief in their own ability to achieve successfully within the challenges they undertake.  In maths, we believe this is ACHIEVED when children are confidently fluent in their understanding of number and in their calculation skills.   With this confidence, they can apply what they know to reason and explain their thinking and to solve problems, developing mastery and accessing higher levels of understanding.

We want the children of Ferring C of E Primary School to view maths as absorbing, creative and valuable – with a passion to explore the world of number.  Through problem solving and investigation, we want them to develop the resilience, perseverance and independence.

• Someone pasted materials data at this point:
=====
Record 1
## La3Mg (GGA-PBE)

Data for a relaxed structure of La3Mg.

Properties
Its space-group type is Imm2, No. 44.

abc: 6.879 6.879 6.879
angles: 148.74 63.97 125.73
Fractional coordinates of all 4 atoms:
La (0.000, 0.000, 0.000)
La (0.409, 0.642, 0.767)
La (0.876, 0.642, 0.233)
Mg (0.480, 0.980, 0.500)

=====

Record 2
## La2Mg (GGA-PBE)

Data for a relaxed structure of La2Mg.

Properties
Its space-group type is C2/c, No. 15. The calculation puts the relative energy among the computed polymorphs at 17 meV per atom.

abc: 6.222 6.222 6.761
angles: 117.17 117.17 60.25
Fractional coordinates of all 6 atoms:
La (0.085, 0.251, 0.252)
La (0.251, 0.085, 0.752)
La (0.749, 0.915, 0.248)
La (0.915, 0.749, 0.748)
Mg (0.418, 0.582, 0.250)
Mg (0.582, 0.418, 0.750)

=====

Record 3
## LaMg2 (GGA-PBE)

Data for a relaxed structure of LaMg2.

Properties
Its space-group type is P6_3/mmc, No. 194.

abc: 6.279 6.279 9.875
angles: 90.00 90.00 120.00
Fractional coordinates of all 12 atoms:
La (0.333, 0.667, 0.081)
La (0.333, 0.667, 0.419)
La (0.667, 0.333, 0.581)
La (0.667, 0.333, 0.919)
Mg (0.000, 0.000, 0.000)
Mg (0.000, 0.000, 0.500)
Mg (0.170, 0.339, 0.750)
Mg (0.170, 0.830, 0.750)
Mg (0.339, 0.170, 0.250)
Mg (0.661, 0.830, 0.750)
Mg (0.830, 0.170, 0.250)
Mg (0.830, 0.661, 0.250)

=====

Record 4
## La3Mg (GGA-PBE)

Data for a relaxed structure of La3Mg.

Properties
Its space-group type is Pmm2, No. 25.

abc: 3.703 5.869 6.175
angles: 90.00 90.00 90.00
Fractional coordinates of all 4 atoms:
La (0.000, 0.000, 0.000)
La (0.000, 0.500, 0.387)
La (0.500, 0.000, 0.535)
Mg (0.500, 0.500, 0.868)

=====

Record 5
## La2Mg (GGA-PBE)

Data for a relaxed structure of La2Mg.

Properties
Its space-group type is C2/m, No. 12. The calculation puts the relative energy among the computed polymorphs at 0 meV per atom. As for the magnetic moment: 0.07 μB/cell.

abc: 6.902 6.902 7.968
angles: 105.88 105.88 33.11
Fractional coordinates of all 6 atoms:
La (0.146, 0.146, 0.057)
La (0.167, 0.167, 0.597)
La (0.833, 0.833, 0.403)
La (0.854, 0.854, 0.943)
Mg (0.488, 0.488, 0.724)
Mg (0.512, 0.512, 0.276)

=====

Record 6
## La3Mg (GGA-PBE)

Data for a relaxed structure of La3Mg.

Properties
Its space-group type is I4/mmm, No. 139.

abc: 6.351 6.351 6.351
angles: 133.23 133.23 68.29
Fractional coordinates of all 4 atoms:
La (0.000, 0.000, 0.000)
La (0.250, 0.750, 0.500)
La (0.750, 0.250, 0.500)
Mg (0.500, 0.500, 0.000)

=====

Record 7
## La2Mg (GGA-PBE)

Data for a relaxed structure of La2Mg.

Properties
Its space-group type is Cmcm, No. 63. The calculation puts the relative energy among the computed polymorphs at 31 meV per atom.

abc: 6.289 6.289 5.669
angles: 90.00 90.00 59.57
Fractional coordinates of all 6 atoms:
La (0.015, 0.678, 0.750)
La (0.322, 0.985, 0.750)
La (0.678, 0.015, 0.250)
La (0.985, 0.322, 0.250)
Mg (0.341, 0.659, 0.250)
Mg (0.659, 0.341, 0.750)

=====

Record 8
## LaMg2 (GGA-PBE)

Data for a relaxed structure of LaMg2.

Properties
=====
• Here the page continues:

Using our carefully sequenced delivery of the maths curriculum, we want our children to be ready to progress to the next stage of their learning, BELIEVING in their own ability to be successful mathematicians.   

[Inserted here: crystal structures]
'''
18
Lattice="0.000 0.000 -4.218 -4.650 -8.054 0.000 -4.646 8.052 0.000" Properties=species:S:1:pos:R:3 comment="YNi3Sn2 (GGA-PBE, optimized geometry)" delta_e_f_ev_per_atom=-0.451 final_energy_ev_per_atom=-5.7553 pbc="T T T"
Ni -4.465 -5.042 0.000
Ni -1.378 -2.387 -2.109
Ni -6.778 -1.667 0.000
Ni -4.462 5.039 0.000
Ni -6.027 -5.668 -2.109
Ni -6.780 1.664 0.000
Ni -2.701 -1.347 0.000
Ni -6.542 -0.001 -2.109
Ni -2.701 1.348 0.000
Y 0.000 -0.001 0.000
Y -4.647 2.683 -2.109
Y -4.649 -2.685 -2.109
Sn -2.351 -0.001 -2.109
Sn -2.189 3.793 0.000
Sn -4.917 -0.002 0.000
Sn -3.471 6.015 -2.109
Sn -2.189 -3.792 0.000
Sn -3.474 -6.018 -2.109
'''


At Ferring Primary School teachers plan maths lessons following the National Curriculum.  Maths is taught daily as a discrete lesson.  The use and secure understanding of maths knowledge and skills are also threaded through other areas of the curriculum in order to provide relevant opportunities to use and apply.  Each child has targets for key mathematical skills and is given daily opportunities to practise and achieve these.  Children learn using a range of resources, which support a concrete, pictorial and abstract approach guiding them through their understanding of mathematical processes.  Our Calculation Policy is used consistently across the school and provides sequential building of knowledge and skills in using and applying the four operations.  Children learn in differentiated small group and mixed ability whole class lessons.  Their progress in maths is carefully tracked through a range of assessment strategies to ensure teachers identify where children require support or challenge to assist their progress.  Timely intervention is provided by the class teacher or support staff to address any misconceptions or gaps in understanding to enable children to confidently progress towards their next lesson.  More confident mathematicians are challenged to show their mastery of maths concepts through investigations and problem solving tasks.  We use and select from a range of schemes of work including White Rose, Nrich Maths and MyMaths and use the Bar Modelling technique to encourage understanding of concrete and pictorial problems solving methods which further support the abstract understanding.  Resources, such as Numicon, are carefully selected to enable early understanding within maths and as a tool for intervention work. 

Children secure key number facts through our programme of mental maths challenges (including times tables awards/certificates, Times Tables Rock Stars and Sumdog competitions) progressing through levels so that number bonds and times tables facts are fluently recalled and applied.  Achievement is celebrated at all stages through school wide presentations and displays.  Children are motivated by the opportunity for recognition both in school and at home for successes along their maths learning journey.  

By engaging children in whole school challenges we maintain a high profile for the teaching and learning of maths.  Through cross-curricular practical activities we make maths relevant to children’s lived experiences.


Children at Ferring C of E Primary School confidently use a range of strategies and resources in line with our Calculation Policy, when tackling maths activities.  They make connections and apply mathematical knowledge both within maths lessons and across the curriculum.  They make good progress as measured from their individual starting points and the age related expectations of the National Curriculum.  Children are confident when talking about their maths learning and engage enthusiastically in maths activities – our children enjoy maths.  Children will be working at the correct stage of the Calculation Policy in order to be able to achieve at their stage of the National Curriculum.  The % of pupils working at ARE within each year group will be at least in line with national averages.  The % of pupils working at Greater Depth within each year group will be at least in line with national averages.  There will be no significant gaps in the progress of different groups of pupils (e.g. disadvantaged vs non-disadvantaged).